## Activity
Could you restate everything further below without additions?
## Listing
<<<
# 1
# GGA-PBE Cd2TcTe, relaxed
data_Cd2TcTe
_cell_length_a 5.422
_cell_length_b 5.422
_cell_length_c 5.422
_cell_angle_alpha 132.60
_cell_angle_beta 132.60
_cell_angle_gamma 69.28
_symmetry_space_group_name_H-M 'P 1'
_symmetry_Int_Tables_number 1
_symmetry_space_group_name_Hall 'P 1'
loop_
_atom_site_label
_atom_site_type_symbol
_atom_site_fract_x
_atom_site_fract_y
_atom_site_fract_z
Cd1 Cd 0.250 0.750 0.500
Cd2 Cd 0.000 0.000 0.000
Te1 Te 0.750 0.250 0.500
Tc1 Tc 0.500 0.500 0.000
# ρ: 8.83 g/cm3
# raw total energy: -13.4 eV for the cell shown
# crystal system: tetragonal
# space-group type: I-4m2
# DOS(E_F): 2.9 states/eV per cell

=====

# 2
# GGA-PBE CrTe2RuC, relaxed
data_CrTe2RuC
_cell_length_a 5.174
_cell_length_b 4.499
_cell_length_c 5.174
_cell_angle_alpha 90.00
_cell_angle_beta 90.00
_cell_angle_gamma 90.00
_symmetry_space_group_name_H-M 'P 1'
_symmetry_Int_Tables_number 1
_symmetry_space_group_name_Hall 'P 1'
loop_
_atom_site_label
_atom_site_type_symbol
_atom_site_fract_x
_atom_site_fract_y
_atom_site_fract_z
Cr1 Cr 0.000 0.500 0.000
Ru1 Ru 0.000 0.000 0.000
Te1 Te 0.500 0.000 0.000
Te2 Te 0.000 0.000 0.500
C1 C 0.500 0.500 0.500
# ρ: 5.79 g/cm3
# raw total energy: -23.8 eV for the cell shown
# crystal system: tetragonal
# space-group type: P4/mmm
# DOS(E_F): 6.8 states/eV per cell

=====

# 3
# GGA-PBE YTlP2, relaxed
data_YTlP2
_cell_length_a 4.978
_cell_length_b 4.978
_cell_length_c 4.978
_cell_angle_alpha 60.00
_cell_angle_beta 60.00
_cell_angle_gamma 60.00
_symmetry_space_group_name_H-M 'P 1'
_symmetry_Int_Tables_number 1
_symmetry_space_group_name_Hall 'P 1'
loop_
_atom_site_label
_atom_site_type_symbol
_atom_site_fract_x
_atom_site_fract_y
_atom_site_fract_z
P1 P 0.250 0.250 0.250
P2 P 0.000 0.000 0.000
Tl1 Tl 0.500 0.500 0.500
Y1 Y 0.750 0.750 0.750
# offset from the most stable computed form: 669 meV/atom
# ρ: 6.76 g/cm3
# crystal system: cubic
# DFT formation energy: 0.0729 eV/atom
# space-group type: F-43m
# DOS(E_F): 2.7 states/eV per cell

=====

# 4
# GGA-PBE CuPd7Rh2, relaxed
data_CuPd7Rh2
_cell_length_a 2.676
_cell_length_b 8.742
_cell_length_c 8.742
_cell_angle_alpha 122.94
_cell_angle_beta 90.00
_cell_angle_gamma 90.00
_symmetry_space_group_name_H-M 'P 1'
_symmetry_Int_Tables_number 1
_symmetry_space_group_name_Hall 'P 1'
loop_
_atom_site_label
_atom_site_type_symbol
_atom_site_fract_x
_atom_site_fract_y
_atom_site_fract_z
Rh1 Rh 0.500 0.671 0.329
Rh2 Rh 0.500 0.329 0.671
Pd1 Pd 0.500 0.683 0.865
Pd2 Pd 0.500 0.865 0.683
Pd3 Pd 0.000 0.816 0.184
Pd4 Pd 0.500 0.317 0.135
Pd5 Pd 0.500 0.500 0.500
Pd6 Pd 0.000 0.184 0.816
Pd7 Pd 0.500 0.135 0.317
Cu1 Cu 0.000 0.000 0.000
# ρ: 9.81 g/cm3
# crystal system: orthorhombic
# DFT formation energy: 0.3824 eV/atom
# space-group type: Cmmm
# DOS(E_F): 16.0 states/eV per cell

=====

Which value of DOS(E_F) does entry 4 give?
16.0 states/eV per cell

=====

What did the third record say?
# GGA-PBE YTlP2, relaxed
data_YTlP2
_cell_length_a 4.978
_cell_length_b 4.978
_cell_length_c 4.978
>>>
## Here it is
# 1
# GGA-PBE Cd2TcTe, relaxed
data_Cd2TcTe
_cell_length_a 5.422
_cell_length_b 5.422
_cell_length_c 5.422
_cell_angle_alpha 132.60
_cell_angle_beta 132.60
_cell_angle_gamma 69.28
_symmetry_space_group_name_H-M 'P 1'
_symmetry_Int_Tables_number 1
_symmetry_space_group_name_Hall 'P 1'
loop_
_atom_site_label
_atom_site_type_symbol
_atom_site_fract_x
_atom_site_fract_y
_atom_site_fract_z
Cd1 Cd 0.250 0.750 0.500
Cd2 Cd 0.000 0.000 0.000
Te1 Te 0.750 0.250 0.500
Tc1 Tc 0.500 0.500 0.000
# ρ: 8.83 g/cm3
# raw total energy: -13.4 eV for the cell shown
# crystal system: tetragonal
# space-group type: I-4m2
# DOS(E_F): 2.9 states/eV per cell

=====

# 2
# GGA-PBE CrTe2RuC, relaxed
data_CrTe2RuC
_cell_length_a 5.174
_cell_length_b 4.499
_cell_length_c 5.174
_cell_angle_alpha 90.00
_cell_angle_beta 90.00
_cell_angle_gamma 90.00
_symmetry_space_group_name_H-M 'P 1'
_symmetry_Int_Tables_number 1
_symmetry_space_group_name_Hall 'P 1'
loop_
_atom_site_label
_atom_site_type_symbol
_atom_site_fract_x
_atom_site_fract_y
_atom_site_fract_z
Cr1 Cr 0.000 0.500 0.000
Ru1 Ru 0.000 0.000 0.000
Te1 Te 0.500 0.000 0.000
Te2 Te 0.000 0.000 0.500
C1 C 0.500 0.500 0.500
# ρ: 5.79 g/cm3
# raw total energy: -23.8 eV for the cell shown
# crystal system: tetragonal
# space-group type: P4/mmm
# DOS(E_F): 6.8 states/eV per cell

=====

# 3
# GGA-PBE YTlP2, relaxed
data_YTlP2
_cell_length_a 4.978
_cell_length_b 4.978
_cell_length_c 4.978
_cell_angle_alpha 60.00
_cell_angle_beta 60.00
_cell_angle_gamma 60.00
_symmetry_space_group_name_H-M 'P 1'
_symmetry_Int_Tables_number 1
_symmetry_space_group_name_Hall 'P 1'
loop_
_atom_site_label
_atom_site_type_symbol
_atom_site_fract_x
_atom_site_fract_y
_atom_site_fract_z
P1 P 0.250 0.250 0.250
P2 P 0.000 0.000 0.000
Tl1 Tl 0.500 0.500 0.500
Y1 Y 0.750 0.750 0.750
# offset from the most stable computed form: 669 meV/atom
# ρ: 6.76 g/cm3
# crystal system: cubic
# DFT formation energy: 0.0729 eV/atom
# space-group type: F-43m
# DOS(E_F): 2.7 states/eV per cell

=====

# 4
# GGA-PBE CuPd7Rh2, relaxed
data_CuPd7Rh2
_cell_length_a 2.676
_cell_length_b 8.742
_cell_length_c 8.742
_cell_angle_alpha 122.94
_cell_angle_beta 90.00
_cell_angle_gamma 90.00
_symmetry_space_group_name_H-M 'P 1'
_symmetry_Int_Tables_number 1
_symmetry_space_group_name_Hall 'P 1'
loop_
_atom_site_label
_atom_site_type_symbol
_atom_site_fract_x
_atom_site_fract_y
_atom_site_fract_z
Rh1 Rh 0.500 0.671 0.329
Rh2 Rh 0.500 0.329 0.671
Pd1 Pd 0.500 0.683 0.865
Pd2 Pd 0.500 0.865 0.683
Pd3 Pd 0.000 0.816 0.184
Pd4 Pd 0.500 0.317 0.135
Pd5 Pd 0.500 0.500 0.500
Pd6 Pd 0.000 0.184 0.816
Pd7 Pd 0.500 0.135 0.317
Cu1 Cu 0.000 0.000 0.000
# ρ: 9.81 g/cm3
# crystal system: orthorhombic
# DFT formation energy: 0.3824 eV/atom
# space-group type: Cmmm
# DOS(E_F): 16.0 states/eV per cell

=====

Which value of DOS(E_F) does entry 4 give?
16.0 states/eV per cell

=====

What did the third record say?
# GGA-PBE YTlP2, relaxed
data_YTlP2
_cell_length_a 4.978
_cell_length_b 4.978
_cell_length_c 4.978